WIRRAL Rangers have hit out at youngsters who are endangering their lives and putting others at risk by illegally riding motorbikes in our country parks.

********
The following is a PBEsol calculation of a relaxed structure of CoS2, from Alexandria.

## Properties
Formation energy (no corrections): -0.501 eV/atom

Cell and atoms, written as CIF:
```
data_CoS2
_cell_length_a 5.3893
_cell_length_b 5.3893
_cell_length_c 5.3893
_cell_angle_alpha 90.00
_cell_angle_beta 90.00
_cell_angle_gamma 90.00
_symmetry_space_group_name_H-M 'P a -3'
_symmetry_Int_Tables_number 205
_symmetry_space_group_name_Hall '-P 2ac 2ab 3'
loop_
_atom_site_label
_atom_site_fract_x
_atom_site_fract_y
_atom_site_fract_z
Co1 0.0000 0.0000 0.0000
S1 0.1179 0.6179 0.8821
```

----------

Computed, not measured: an optimized crystal structure of Ce3Si2Pd3 at the PBE-GGA level of DFT.

Values from the calculation:
ΔE to the lowest computed polymorph   0.0 meV per atom
Theoretical density   7.90 Mg/m³
N(E_F)   1.933 states/eV per atom
Total moment   1.9 μB/f.u.

a b c (Å): 7.905 14.956 5.661
angles (deg): 90.00 90.00 90.00
Space group Pnma (No. 62)
One atom of each set of equivalent atoms:
Ce (0.036, 0.108, 0.138) [8 per cell]
Ce (0.161, 0.250, 0.640) [4 per cell]
Si (0.120, 0.605, 0.356) [8 per cell]
Pd (0.169, 0.034, 0.605) [8 per cell]
Pd (0.188, 0.750, 0.624) [4 per cell]

----------

Material: CrSnO2
Method: DFT, GGA+U
State: relaxed

Lattice parameters (Å, degrees): 4.996 4.996 6.379 66.95 66.95 90.00
Site moments in Bohr magnetons follow the coordinates.
Fractional coordinates of all 8 atoms:
1 Sn 0.750 0.250 0.500  0.07
2 Sn 0.000 0.000 0.000  0.07
3 O 0.375 0.440 0.750  -0.06
4 O 0.190 0.625 0.250  -0.05
5 O 0.875 0.810 0.750  -0.05
6 O 0.560 0.125 0.250  -0.06
7 Cr 0.250 0.750 0.500  3.67
8 Cr 0.500 0.500 0.000  3.66

Computed properties:
* distance to the lowest polymorph of the same formula: 536 meV/atom
* density of states at the Fermi level: 0.437 states/eV per atom

----------

Entry 1:
Compound: TiInIr
Source: the Alexandria database
Functional: PBE-GGA
Structure: relaxed

Values from the calculation:
DOS(E_F) (states/eV/f.u.): 2.0
Formation enthalpy at 0 K (kJ/mol of atoms): -47.06
M_tot (μB per cell): 0.0

Cell: 5.9172 5.9392 6.5666 Å, 90.00 93.68 90.00°
Space group C2/m (No. 12)
Asymmetric unit:
1 Ti 0.0000 0.2486 0.0000 (multiplicity 4)
2 In 0.2343 0.0000 0.6415 (multiplicity 4)
3 Ir 0.2407 0.5000 0.7806 (multiplicity 4)

---

Entry 2:
Compound: CsErGe2I8
Source: the Alexandria database
Functional: PBE-GGA
Structure: relaxed

Values from the calculation:
ΔE_f (raw) (kJ per mole of atoms): -79.0
DOS(E_F) (states/eV/f.u.): 0.0
M_tot (μB per cell): 0.0

Cell: 7.2242 7.8103 11.0425 Å, 94.34 91.70 96.54°
Space group P-1 (No. 2)
Asymmetric unit:
1 Cs 0.0000 0.0000 0.0000 (multiplicity 1)
2 Er 0.0000 0.0000 0.5000 (multiplicity 1)
3 Ge 0.4349 0.5500 0.3087 (multiplicity 2)
4 I 0.2264 0.6902 0.4936 (multiplicity 2)
5 I 0.2343 0.1661 0.3144 (multiplicity 2)
6 I 0.2511 0.6021 0.1042 (multiplicity 2)
7 I 0.2599 0.1600 0.7096 (multiplicity 2)

---

no.,total DFT energy (no corrections) (eV/atom)
1,-6.99
2,-3.07

----------
********

They are calling for local people to help them and police to identify the perpetrators before staff and park users are seriously hurt.

A ranger was knocked down, sustaining serious back injuries, by a youth on a motorbike in a recent incident at Eastham Country Park. The rider, who then sped off up Ferry Road, is believed to live in Eastham.

Youths are illegally riding the off-road bikes without helmets, road tax or insurance. Some even carry younger children as passengers. They speed along, causing damage to paths and vegetation. Rangers report that they are often abusive and aggressive to anyone challenging them.

Police and rangers are frequently called to Eastham Country Park, Lowfields Park, Arrowe Country Park and Bidston Hill to deal with incidents, but rangers say that the young riders are very difficult to catch and chasing them can make the situation more dangerous for everyone.

Vicky Hose, Senior Ranger for South Wirral, said: "Their families and neighbours must know what they are doing and they need to start taking responsibility for the actions of these youths.

"All too often we encounter abuse and aggression and more and more we are putting ourselves at risk, just doing our jobs, when we should be helping people to enjoy our parks and open spaces.

"This is a local community problem and it cannot be solved without their help and it needs to be solved before someone is seriously hurt or killed."

Residents in Lowfield Avenue, Eastham, are angry and upset by the constant noise and hazard inflicted upon them by the youngsters riding at speed in their neighbourhood.

Locals report that children from the Mill Park Estate are racing, perilously, through Lowfields Park and riding noisy bikes along roadside banks, damaging green land near to their homes and making their lives a misery.

A resident of Lowfields Avenue, who does not wish to be named, said: "Someone is going to get hurt - they travel at such high speeds. Kids can't go out to play in the street because it is too dangerous."

Another local man added: "I have warned them off many times but they are just abusive. They were here every night last week and they have cut down some of the trees in the area.

"I have even managed to get some video footage of them openly flaunting the law."

Police Neighbourhood Inspector Kate Aspinall added: "We have been giving extra attention to the area. This is a common problem as nights get lighter. We are liaising with our motorcyclists to tackle the problem."

Rangers are calling for sites to be identified around Wirral where youngsters could ride motorbikes and mountain bikes without conflict.

Jim Lester, Senior Inspector of Cultural Services, said: "We would like to provide for these pursuits but we have covered every inch of Wirral searching for a site and there just isn't one. Even if there was a site available, then there is the problem of managing such an area. But it is clear that we cannot allow these problems to continue."

If you can help, contact Wirral Rangers on 327-1007 or get in touch with your local police.